

When you say “All Lives Matter” when I say “Black Lives Matter” it sounds like your saying “Black lives don’t matter as much.” And are things to condescend and minigate the importance of our message. And if “All Lives Matter” then “Black Lives” are included and you should be just as mad and heartbroken and standing with us.

When you say “White lives matter too.” when I say “Black Lives Matter” It sounds like you are saying “White lives matter more then black lives.” And it makes me feel like you see me as a traitor of my race for defending another. I akwoldge I have white privlage but at least I can use it to help anyway I can.

When you say “They are all just thugs who are looting and setting things on fire.” when I say “Black Lives Matter" you are only choosing to focus on the handful of the most radical and misguided of those involved and willfully ignoring the peacful protesrs who are using their voice instead of their hands. .

Those are crimes and that is wrong, But the only casualty were things, items, objects that could be replaced and profit, no one was harmed. Murdering unarmed indaviduals based on skin color and suspicion and brutallizing peaceful protesters is arguably much worse. They WERE harmed while not committing any crime other then speaking out and going about their day. Even if they did do something wrong, you should be arrested lawfully and investigated. Not murdered.

When you say “Blue Lives Matter” when I say “Black Lives Matter” it sounds like you are saying “Police matter more and should not be held accountable when they cross a line or take a life unjustly.”

Police know when they signed up that they put their lives on the line everyday to protect and serve others. They knew that there would be a chance they could get hurt or die to protect the community. Black people did not sign up to be black or be killed for doing everyday things or to be asssumed guilty and suspicious wherever they go or whatever they are doing. You can take off a uniform. You cant take off your skin.

-- Calculated crystals, as found in the file --
Structure and calculated powder XRD pattern of Cr2BiOsO8 (DFT lattice parameters and positions (GGA+U); Cu Kα X-rays).
No peak broadening, texture or thermal motion is included.

Structure:
```
Cr2BiOsO8
1.0
3.302 -3.314 0.000
3.302 3.314 0.000
0.000 0.000 6.454
Cr Bi Os O
2 1 1 8
Cartesian
0.000 0.000 1.581
0.000 0.000 4.873
3.302 0.000 3.227
3.302 0.000 0.000
1.151 0.000 3.227
1.364 0.000 0.000
3.302 1.315 1.428
3.302 1.315 5.026
3.302 -1.315 1.428
3.302 -1.315 5.026
5.241 0.000 0.000
5.453 0.000 3.227
```

Principal peaks in the range 2θ = 10–80°, low angle first:
18.97°, rel. 64; 26.95°, rel. 100; 33.74°, rel. 87; 38.97°, rel. 27; 52.04°, rel. 33; 52.15°, rel. 34

~~~~~

Record 1
Theoretical X-ray powder pattern of Ta4GeH2 for Cu Kα (weighted mean of Kα1 and Kα2), from a crystal structure in Alexandria, relaxed with GGA-PBE.
Intensities are scaled so that the largest is 100.

Principal peaks in the range 15 to 90 degrees two-theta, sorted by position:
| d/Å | intensity |
| --- | --- |
| 3.258 | 33 |
| 2.559 | 29 |
| 2.435 | 65 |
| 2.399 | 47 |
| 2.373 | 100 |
| 2.272 | 74 |
| 1.548 | 38 |
| 1.242 | 22 |

Crystal structure
a b c (Å): 6.988 5.960 8.187
angles (deg): 56.60 45.41 77.99
Positions (direct):
Ta  0.116  0.314  0.004
Ta  0.246  0.683  0.134
Ta  0.314  0.116  0.567
Ta  0.316  0.684  0.481
Ta  0.683  0.246  0.936
Ta  0.684  0.316  0.519
Ta  0.731  0.769  0.566
Ta  0.769  0.731  0.934
Ge  0.124  0.124  0.376
Ge  0.874  0.874  0.126
H  0.381  0.514  0.307
H  0.453  0.943  0.736
H  0.514  0.381  0.797
H  0.943  0.453  0.869

=====

Record 2
Theoretical X-ray powder pattern of SrLi2Re for Cu Kα (weighted mean of Kα1 and Kα2), from a crystal structure in Alexandria, relaxed with GGA-PBE.
Intensities are scaled so that the largest is 100.

Principal peaks in the range 15 to 90 degrees two-theta, sorted by position:
| d/Å | intensity |
| --- | --- |
| 5.753 | 19 |
| 5.027 | 100 |
| 2.877 | 26 |
| 2.598 | 22 |
| 2.514 | 20 |
| 2.439 | 32 |
| 2.395 | 35 |
| 2.036 | 22 |

Crystal structure
a b c (Å): 5.233 5.233 5.776
angles (deg): 94.92 94.92 30.60
Positions (direct):
Sr  0.000  0.000  0.000
Li  0.236  0.236  0.678
Li  0.764  0.764  0.322
Re  0.500  0.500  0.500

=====

Record 3
Theoretical X-ray powder pattern of LiPu4Pt4 for Cu Kα (weighted mean of Kα1 and Kα2), from a crystal structure in Alexandria, relaxed with GGA-PBE.
Intensities are scaled so that the largest is 100.

Principal peaks in the range 15 to 90 degrees two-theta, sorted by position:
| d/Å | intensity |
| --- | --- |
| 4.095 | 21 |
| 2.372 | 28 |
| 2.348 | 100 |
| 1.910 | 25 |
| 1.488 | 23 |
| 1.365 | 19 |
| 1.174 | 9 |
| 1.171 | 17 |

Crystal structure
a b c (Å): 6.203 6.203 6.203
angles (deg): 98.41 98.41 135.03
Positions (direct):
Li  0.000  0.000  0.000
Pu  0.353  0.353  0.707
Pu  0.353  0.647  0.000
Pu  0.647  0.353  0.000
Pu  0.647  0.647  0.293
Pt  0.000  0.332  0.332
Pt  0.000  0.668  0.668
Pt  0.332  0.000  0.332
Pt  0.668  0.000  0.668

=====

Record 4

When I say “ Black Lives Matter” I am merely stating a truthful fact. If you deny the truth or try to divert it, you are part of the problom, I’m trying be part of the solution.

Satan: How do you justify the killing of the Palestinian civilians by fully-armed soldiers?
IOF: easy, we throw a knife near the body and we claim self defence.

Odeh family is a Palestinian family, living in Silwan and the IOF forced them to demolish their own house, otherwise they will get their house demolished for them and get fined with >20,000$

Odeh family and other families‘ houses are going to be demolished and left homeless, this is a part of a zionist plan to forcefully expel the Palestinians from Jerusalem to change it from an arab-majority city to a zionist majority city, this form of colonisation is called “Settler colonialism” where the indigenous people of the land are being forcefully replaced by the people of the occupier.

save Palestine

save silwan

Muhammad Tamimi, a 17 year old resident of Nabi Saleh, was shot and killed by IDF soldiers in his own village today. The regular loss of Palestinian children’s lives due to soldiers’ unregulated use of excessive force is impossible to bear.

Decolonization now.

AFA is trying to create an all white church, that follows the belief of N@z!s.

Sign the petition and boost!



a spell of protection and justice for those protesting in response to black lives matter. i did this on the super moon of June 5th 2020


  • a container
  • a pencil
  • paper (i used green for life)
  • sharpie
  • soil
  • black and white candle
  • honey : protection, healing, purity, to sweeten the world
  • sage : wisdom, protection, good luck, emotional strength, heal grief
  • mint (apple): protection, ward of negativity, recharge energy, well being
  • lavender : cleansing, peace, protection, purification
  • rosemary : love, protection, strength, cleansing, purifying , healing
  • thyme : courage, heal grief, honour the dead, ward of negativity
  • pumpkin seeds: lunar spells, to plant the spell and make it grow
  • pink himalayan salt: love, protection
  • salt: protection
  • egg shells: protection
  • rose petals: love
  • Bay: healing, protection
  • cinnamon: healing, protection, victory, love, speeds up spells, success


  1. Light a white candle and pray to Ares. He is one of the most passionate Gods who fights for justice. As a God of War, he will be on the front lines with those fighting for justice. I also said a prayer I found online regarding this topic
  2. Take your container and fill the bottom with soil. The place 3 pumpkin seeds on top of the soil. This represents how the spell will grow and bring a new world.
  3. If fresh and not dried, put your sage and mint leaves around the containers edges to cover them.
  4. Then put the rest of your ingredients in and drizzles some honey over it
  5. Create a Sigil with the specific Intent you want.
  6. Fold up your sigil and place it on top of the honey.
  7. Place more soil over all the contents so it’s covered. Don’t worry if you can still see parts of the sage and mint leaves. This further reflects that representation.
  8. Light your black candle and pour some of the wax onto the soil. Then pour some of the white candle ontop of the black, making sure there’s more white. This shows the light and justice winning over darkness and hate.
  9. Close the lid focusing on intent.
  10. Draw the sigil you made ontop of the lid in sharpie and write BLM under it.


I pray that these protests across our globe will bring into action the change we so desperately need. I pray that all my followers going to protests stay safe and are protected. I pray for the families of white supremacy victims. I pray that the names of those taken will never be forgotten. May the Gods be with you.

walrushit: musicxmusingsxmemes:ordeal:rudelyfe:nevaehtyler:26-year-old Jamarion Robinson’s g






26-year-oldJamarion Robinson’s grandmother Beverly Nixon said her grandson was bipolar and schizophrenic. Still got shot 76 (!!!) times. Would a white person get the same treatment?

The witness said he saw more than a dozen patrol cars at the complex where US Marshals killed Robinson on August 5, 2016. Why were there no behavioral specialist? Surely one of them would know how to interact with a bipolar schizophrenic better than the police.

I’m absolutely disgusted.

Here’sJamarion’s mother’s GoFundMe in case anyone is willing to help.

#JusticeForJamarion   #BlackLivesMatter

Oh god ..

this is how much they’ve raised as of June 26th, 2020.

$48,589 out of $100,000 raised as of September 28th, 2020

It’s at 48k as of October 11, 2020

Post link